First post: 1/15/2008
Last post: 7/24/2008 Total posts: 6128 |
Replying to: There can be no honest & defensible assertion that the the change in strategy authored by Petraeus, along with the increase in troop numbers, has made a tremendously positive difference in Iraq. AQI has been almost eliminated. Regardless of when the "Anbar Awakening" began, the turning of the Iraqi people against AQI & other islamist groups continued throughout the surge and is part of the Petraeus counterinsurgency strategy. It worked. Petraeus & the troops deserve full credit for its implementation. McCain was right about the surge/change in strategy from the start, & Obama was wrong & remains wrong, unwilling to correct his errors.
Posted by WH "It is your opinion that the surge troops were needed to sustain the awakening (if that's your claim). The awakening was doing well pre-surge, so it's just an opinion, not proven." |
It is not opinion that it worked. It is not opinion that he authored the plan.
What would be opinion is if Obama had attempted to answer the question: "What would have happened if the Surge had not been implemented?" He was smart enough to say "I don't know" rather than admit that his plan for retreat in 2006 would have resulted in the defeat of the Nation that he seems to desire.
Opinion: If Obama's plan for Immediate Retreat had been implemented in 2006 or 2007 rather than the Petraeus Plan:
Al-Qaeda and Iranian Backed Special Groups would be fighting over the remnants of Iraq today. Perhaps they would be working out a truce but I doubt they'd be at that stage yet.
The Kurds would be entrenched in the North, waiting out the winner in the South, and hoping that the Turks did not invade based on US assurances that We would use our best diplomacy to assure the Turks that no ill will would come out of the future Kurdistan or perhaps we would encourage the Turks to annex the Kurd territory.
But THAT is Opinion.
FACT: The Petraeus Plan is directly responsible for our current Sustained Successes in Iraq.
FACT: Obama has opposed the Petraeus Plan from proposal through demonstrated Sustained Success.
FACT: McCain called for the Surge when Rumsfeld and Bush still opposed it.
FACT: McCain Called for the Surge in opposition to Bush and Rumsfeld.
FACT: Obama has opposed the Surge from proposal through Sustained Success.
FACT: Petraeus Plan was implemented.
FACT: Violence is down for a sustained period of time since Petreaus' Plan was implemented.
FACT: If 30,000 troops had nothing to do with success in Iraq, then 20,000 would do nothing to change the reality in Afghanistan.
FACT: The Anbar Awakening councils were a change of attitude in 2006.
FACT: Petraeus changed the change in attitude to a concrete program of action against islamist Al Qaeda in Al Anbar.
FACT: Violence peaked post the change in Attitude of the Anbar Awakening and when that attitude was changed into actions by Petraeus.
FACT: Obama OPPOSED the Winning Strategy in Iraq. (Petraeus Plan)
FACT: Obama has ZERO Military Experience.
FACT: McCain called for the Surge in opposition to his party.
OPINION: Obama is WRONG for America because
FACT: He has a proven record of being WRONG on Iraq and has no demonstrable record that he will make the right decisions for the right reasons on Afghanistan.
The facts clearly demonstrate that the Petraeus Plan has brought us Sustained Successes despite the vehement opposition to allowing it by Obama, Reid, Pelosi & Hillary.
Someone pasted molecular data at this point =
- - -
# 1
Entry from the OMol25 dataset: the molecule C6H4N2 (ωB97M-V/def2-TZVPD).

Last column: Löwdin charge in e.
Geometry (Å):
H -1.56805 -2.05604 2.12304  0.05
N -1.36653 -2.30182 1.17128  0.20
C -0.77010 -1.33828 0.62233  -0.42
C -0.29206 -1.39580 -0.80049  0.01
C 0.37883 -0.23958 -1.07821  -0.02
C 0.35817 0.55917 0.12019  -0.30
C 0.71366 1.91307 0.06508  -0.06
C 1.09061 3.06517 0.03016  0.17
N -0.26522 -0.09220 1.14476  0.14
H -0.39271 -2.26847 -1.39908  0.10
H 0.77432 0.05246 -2.01324  0.10
H 1.33908 4.10232 0.01419  0.04

Values from the calculation:
Energy relative to the best compared isomer or geometry (same formula, charge and spin) in kcal per mole: 60.4
Multiplicity: 1
LUMO level in eV: -1.44
Frontier orbital gap in Eh: 0.30154

# 2
Entry from the OMol25 dataset: a structure of composition C6H4N2O5SSc (ωB97M-V/def2-TZVPD).

Last column: Löwdin charge in e.
Geometry (Å):
O -3.98005 0.58526 -2.41381  0.27
C -3.11955 0.71623 -1.63701  0.11
Sc -1.47731 0.94703 -0.17337  0.50
O -2.48011 3.61197 1.70990  0.27
C -2.08122 2.70432 1.11188  0.03
C 0.44556 1.35479 1.67633  -0.07
O 1.37278 1.34217 2.36136  0.18
C -0.05754 2.39120 -1.14616  0.00
O 0.67448 3.05405 -1.73532  0.27
C -2.10763 -0.30775 1.58029  0.00
O -2.43674 -1.04168 2.40235  0.27
N 2.72088 -1.66599 0.39703  0.22
C 1.64523 -1.65915 -0.40515  -0.63
N 1.49357 -2.54809 -1.39917  0.20
S 0.36470 -0.49258 -0.21346  0.80
H 3.46723 -2.32705 0.30375  0.16
H 2.77251 -0.96872 1.12608  0.13
H 0.63784 -2.42637 -1.92223  0.12
H 2.14536 -3.26964 -1.62327  0.16

Values from the calculation:
Energy relative to the best compared isomer or geometry (same formula, charge and spin) in kcal per mole: 15.0
Multiplicity: 1
LUMO level in eV: -14.29
Frontier orbital gap in Eh: 0.27978
Total charge: +3

# 3
Entry from the OMol25 dataset: the molecule C6H4N2S (ωB97M-V/def2-TZVPD).

Last column: Löwdin charge in e.
Geometry (Å):
C 0.15032 0.18631 -0.57085  -0.04
C -0.98922 -0.82990 1.08327  -0.19
C 0.71900 0.54510 0.65470  -0.28
C -0.11533 -0.04270 1.71703  -0.03
C 1.72424 1.39134 1.00928  0.01
C 1.41653 1.22492 3.34837  -0.80
N 1.93576 1.70065 2.35259  0.04
N -0.82738 -0.74985 -0.27940  0.03
S 1.01669 0.92271 4.81569  0.77
H 0.21138 0.44981 -1.68559  0.14
H -1.80648 -1.37919 1.29274  0.06
H 2.58573 1.82652 0.50509  0.13
H -1.22357 -1.39204 -0.99481  0.16

Values from the calculation:
Energy relative to the best compared isomer or geometry (same formula, charge and spin) in kcal per mole: 86.1
Multiplicity: 1
LUMO level (alpha / beta) in eV: -1.38 / -1.38
Frontier orbital gap (alpha / beta) in Eh: 0.22084 / 0.22082

| no. | maximum force (eV/A) |
| --- | --- |
| 1 | 4.6 |
| 2 | 8.9 |
| 3 | 4.0 |
- - -
One of the best and clearest evidences of this is the graph on page 7 here:
It clearly demonstrates that violence (in the form of enemy initiated attacks) steadily climbed through its peak in the week of 22 June 2007 and then fell off a cliff from approximately 1550 attacks that week to approximately 230 attacks in the most recently reported week.
In those drastic reductions of violence, there are two spikes that stand out: the week of 11 Sep 2007 and the week of 25 March 2008, when the enemy obliged the left side of the aisle in support of their anti-Petraeus rhetoric while he testified to Congress.
At this point, it would be good to look back at the anti-Petraeus arguments:
Winter 2007: "The Surge Can't work. It's just putting more targets out for the enemy. There is no Al-Qaeda in Iraq."
WOTN response: "There is no such thing as having too many friends shooting at the enemy."
The enemy we face is brutal and must be stopped. There are clear links between Zarqawi, al-Maysara, al-Masari and others to Al-Qaeda. Each are foreign fighters that have been instructors in Al-Qaeda camps in Afghanistan pre-9/11
Spring 2007: "The Surge Isn't working: Violence is up."
WOTN response: The Troops aren't there yet and the General is aggressively targeting the enemy.
Summer 2007: "The Surge Isn't working: Violence is up."
WOTN response: The Troops are just getting on the ground. The General is aggressivley targeting the enemy.
Fall 2007: "The Surge didn't work: Decreased Violence is temporary."
WOTN response: The facts demonstrate greatly reduced violence in many parts of Iraq. Time will demonstrate if the trend holds.
11 Sep 2007: General Petraeus testifies to Congress. Obama gives him a campaign speech. Moveon,org runs "betrayus" ad.
The Senate Passes a resolution condemning the attack on the General. Obama and Hillary refuse to support the resolution (effectively demonstrating support of the slander).
Winter 2008: "The Surge didn't work: Iraqi Parliament hasn't met Congressional demands."
WOTN response: Iraqi Politicians continue to risk their lives, just to go to work every day. If two parties in Congress can't agree on simple issues, why do they expect multiple parties in Iraq to agree on contentious issues and who cares about "Carbon Emissions" when Iraq is still securing their democracy!
Spring 2008: "The Surge didn't work: Iraqi Parliament has only met a few of Congressional demands."
WOTN response: Iraqi Parliament was hammering out rules for the Regional Elections while Congress investigated why a Baseball Pitchers butt was bleeding in an elevator 10 years ago and who was at MLB pool party 10 years ago, instead of addressing FISA legislation. What Hypocrisy!
Summer 2008: "Sure Violence is down and the Iraqi Parliament has met most of the Congressional Demands, but it had nothing to do with the Petraeus Plan the left opposed."
WOTN Response: IF the left side of the aisle had not attempted to play politics and to endorse the slander of a non-political General in September 2007, they would not be in this political dilemna now.
Facts are facts, regardless of whether they are recognized or not. Facts do not change based on a "point of view." Conclusions, Opinions and the meaning of facts may change based on a point of view, but the facts remain the same.
The facts demonstrate that Iraq is safer, freer, more secure, and more democratic today than it has been in decades.
The facts demonstrate that all metrics of violence have been dramatically reduced from their peaks which correspond to the arrival of the last "Surge Brigades" in Iraq.
The facts demonstrate that The Petraeus Plan was called for by McCain prior to approval and opposed by Obama steadfastly through the point it was proven to have attained Sustained Successes. And that is THE reason why the left side of the aisle continues to attempt to deny it is the reason for Success in Iraq.
But it is easy to see that the left recognizes that the Petraeus Plan has worked: They are calling for it to be mirrored in Afghanistan. They have confirmed Petraeus to take command at CentCom. (95-2) They have confirmed General Odierno (Petraeus' recommendation and #2) to take over in Iraq.
IF the left did NOT think the Petraeus Plan and the Surge had worked, it would be morally wrong for them to call for it to be used in Afghanistan.
-"We" did not execute the plan. General Petraeus and the Commanders that report to him and the Soldiers on the Ground executed the plan, despite opposition from the left side of the aisle. American Veterans SUPPORTED the plan and the left side of the aisle vehemently opposed it.
-The left is attempting all kinds of spin to remove the responsibility of a Winning Strategy from the person who Wrote it, Requested it, and Implemented it, but the facts, no matter how they are sliced simply support the Fact that the Petraeus Plan worked.
Infrastructure in Iraq is beyond what it was in 2002. (Energy production, oil production, water supply, sewage, telephones, cars)
Unrelated to this entry: data records >
'''
(1)
Here is one molecule with the formula C5H12N2 from the Open Molecules 2025 dataset. Energies are from ωB97M-V/def2-TZVPD.

Output
LUMO energy: 1.117 eV
M: 100.16 g/mol
SMILES string: C=CCCNCN
Total charge: 0
HOMO: -8.47 eV
Frontier orbital gap: 9.592 eV

Each line ends with the Löwdin charge.
Element x y z (Å)
C  2.122  2.172  -0.207  -0.02
C  1.267  1.969  0.810  -0.14
C  0.643  0.655  1.583  -0.17
C  -0.512  0.021  0.708  -0.23
N  0.027  -0.953  -0.345  -0.10
C  -0.986  -2.039  -0.607  -0.28
N  -2.021  -1.539  -1.574  -0.02
H  1.998  2.996  -0.899  0.04
H  2.928  1.604  -0.608  0.04
H  0.517  2.737  1.049  0.08
H  0.236  1.079  2.458  0.05
H  1.348  -0.104  2.089  0.12
H  -1.159  0.876  0.252  0.12
H  -1.246  -0.564  1.264  0.08
H  0.122  -0.436  -1.249  0.10
H  -1.394  -2.193  0.379  0.07
H  -0.345  -2.926  -0.945  0.13
H  -2.415  -0.577  -1.506  0.07
H  -1.827  -1.718  -2.569  0.06

---

(2)
Here is a 2-piece molecular cluster, C5H12N2 overall from the Open Molecules 2025 dataset. Energies are from ωB97M-V/def2-TZVPD.

Output
LUMO energy: 0.930 eV
M: 100.16 g/mol
Total charge: 0
HOMO: -7.27 eV
Frontier orbital gap: 8.196 eV

Each line ends with the Löwdin charge.
Element x y z (Å)
C  2.119  -1.208  -0.849  -0.07
C  1.465  -1.095  0.336  -0.09
C  0.174  1.283  -0.928  -0.07
C  -1.001  1.029  1.475  -0.07
C  -0.595  0.636  0.129  -0.43
N  -2.281  -0.916  0.394  0.01
N  -1.324  -0.331  -0.340  -0.11
H  1.716  -1.831  -1.674  0.07
H  3.034  -0.682  -0.910  0.03
H  0.687  -1.745  0.500  0.02
H  0.910  2.085  -0.602  0.11
H  -0.435  1.910  -1.732  0.12
H  0.676  0.528  -1.400  -0.01
H  -0.418  1.853  2.033  0.11
H  -2.057  1.249  1.465  0.07
H  -0.830  0.222  2.180  0.07
H  -2.616  -1.792  0.043  0.00
H  1.928  -0.521  1.149  0.08
H  -1.151  -0.672  -1.268  0.16

---

Which structure is the most stable? The one labeled (1).

---

(1)
Here is C6H11F6N3O12P2PdS2 as an isolated structure from the Open Molecules 2025 dataset. Energies are from ωB97M-V/def2-TZVPD.

Output
LUMO energy (spin up / spin down): 0.059 / -3.045 eV
M: 663.65 g/mol
Total charge: 0
HOMO (spin up / spin down): -10.57 / -10.58 eV
Multiplicity: 3
Frontier orbital gap (spin up / spin down): 10.631 / 7.536 eV

Each line ends with the Löwdin charge.
Element x y z (Å)
Pd  0.841  -0.371  -0.503  1.13
N  -2.793  -1.354  -1.732  0.02
C  -2.816  -1.242  -0.249  -0.55
C  -4.094  -1.844  0.369  -0.08
P  -2.932  0.563  0.037  0.50
O  -2.833  0.889  1.559  -0.08
O  -4.103  1.072  -0.672  -0.22
O  -1.494  1.234  -0.428  -0.22
P  -1.339  -2.159  0.415  0.35
O  -0.706  -1.122  1.501  -0.21
O  -1.749  -3.416  1.053  -0.26
O  -0.264  -2.156  -0.686  -0.40
H  -3.650  -0.944  -2.098  0.11
H  -2.763  -2.330  -2.012  0.11
H  -1.373  -0.606  -2.162  0.05
H  -4.966  -1.453  -0.154  0.08
H  -4.182  -1.580  1.424  0.09
H  -4.061  -2.929  0.302  0.08
H  -1.958  0.840  1.998  0.04
H  -0.803  -1.433  2.410  0.10
O  -0.640  0.108  -2.216  -0.11
O  -1.358  1.260  -1.847  -0.08
'''
Freedom is well beyond their peers in the region as well as all of their past. (newspapers, freedom of speech, freedom to peaceably assemble, tv stations, radio stations, elections)
Violence is down dramatically from any point in the past years and decades with the drop in violence occuring at the point that the Surge Brigades began operating. (Enemy Initiated Attacks, Attacks on Iraqi Police, Attacks on Journalists, Attacks on Iraqi Army, Attacks on Coalition Forces, Attacks on Civilians, IED's, Assassinations, Sniper Attacks, etc.) All down dramatically.
- Evidently the Mission for that "Residual Force" which was once "in the region" and now in Iraq, has been expanded (progress in Obama's "change" of policies and politics) and with it expanded to 50,000 troops.
Here's the thing: Why would Obama claim 50,000 troops is not enough in Afghanistan but is enough in Iraq? Why would the partisans claim the Surge is not responsible for Success in Iraq but should be implemented in Afghanistan?
Defeatism has been defeated and the Retreatists are attempting a retreat from their failures to prevent a Victory.